26 results found for “posts”. Showing results 1 to 25.
What is AJAX? AJAX is the acronym for Asynchronous JavaScript And XML. XML is a data exchange format and UX is software developer shorthand for User Experience. Ajax is an Internet communications technique that allows a web page displayed in a user’s browser to request specific information from a server and display this new information…
Using jQuery Your jQuery script runs on the user’s browser after your WordPress webpage is received. A basic jQuery statement has two parts: a selector that determines which HTML elements the code applies to, and an action or event, which determines what the code does or what it reacts to. The basic event statement looks…
== Unrelated to this piece: calculated crystals ==
'''
# MnZnAu2, relaxed, DFT PBE
data_MnZnAu2
_chemical_formula_sum 'Mn1 Zn1 Au2'
_cell_length_a 4.526
_cell_length_b 4.526
_cell_length_c 4.526
_cell_angle_alpha 60.00
_cell_angle_beta 60.00
_cell_angle_gamma 60.00
_space_group_name_H-M_alt 'P 1'
_space_group_IT_number 1
loop_
_space_group_symop_operation_xyz
'x,y,z'
loop_
_atom_site_label
_atom_site_fract_x
_atom_site_fract_y
_atom_site_fract_z
_atom_site_occupancy
Au1 0.250 0.250 0.250 1
Zn1 0.000 0.000 0.000 1
Au2 0.750 0.750 0.750 1
Mn1 0.500 0.500 0.500 1
# * formation enthalpy at 0 K: -145 meV/atom
# * space-group type: Fm-3m

~~~~~

Record 1
Compound: Na7Mg2Nb2Si3P3O24
Source: the Materials Project database
Functional: PBE
Structure: relaxed

```
Na7Mg2Nb2Si3P3O24
1.0
9.0859 0.0000 0.0000
4.5238 7.8843 0.0000
0.0620 -0.0008 22.2042
Na Mg Nb Si P O
21 6 6 9 9 72
direct
0.0000 0.0000 0.0000
0.0040 0.6587 0.9203
0.0202 0.6556 0.4133
0.0295 0.2853 0.1574
0.0408 0.9494 0.3228
0.0561 0.3132 0.8422
0.2974 0.3569 0.3284
0.3210 0.7058 0.8410
0.3386 0.9992 0.7618
0.3421 0.3443 0.9987
0.3477 0.6108 0.4972
0.3522 0.9983 0.2363
0.3630 0.6872 0.1598
0.3913 0.3071 0.6768
0.6496 0.6513 0.6753
0.6522 0.9807 0.8386
0.6794 0.3311 0.0816
0.6863 0.3147 0.5878
0.6943 0.6866 0.3280
0.7246 0.9996 0.5047
0.9629 0.3812 0.4968
0.0116 0.6650 0.5638
0.0140 0.6633 0.2681
0.3434 0.9996 0.9023
0.3440 0.9963 0.0982
0.6730 0.3331 0.4366
0.6816 0.3244 0.7312
0.0063 0.6707 0.0650
0.0081 0.6676 0.7691
0.3388 0.0029 0.3938
0.3456 0.0021 0.6074
0.6725 0.3435 0.9355
0.6808 0.3305 0.2310
0.0113 0.9607 0.1716
0.0488 0.2928 0.0009
0.3453 0.2944 0.5005
0.3458 0.7063 0.0015
0.3835 0.3294 0.8289
0.3837 0.6219 0.3379
0.6736 0.6281 0.8271
0.7239 0.9626 0.6608
0.9661 0.3365 0.3383
0.0088 0.3742 0.6638
0.0564 0.9969 0.5007
0.3010 0.6664 0.6628
0.3051 0.3708 0.1691
0.6323 0.7100 0.5005
0.6365 0.9981 0.9988
0.6774 0.0420 0.3371
0.7173 0.6681 0.1716
0.9657 0.0425 0.8313
0.0208 0.4878 0.0117
0.0330 0.8486 0.2295
0.0422 0.4624 0.7203
0.0466 0.8338 0.5013
0.1230 0.1783 0.0601
0.1471 0.0114 0.8385
0.1573 0.1558 0.3384
0.1577 0.0130 0.5545
0.1636 0.2247 0.9409
0.1679 0.9790 0.4427
0.1718 0.4744 0.5006
0.1727 0.9892 0.1650
0.1752 0.6744 0.0093
0.1785 0.1953 0.6624
0.1881 0.6880 0.7204
0.1933 0.6559 0.3299
0.1948 0.5130 0.8267
0.2004 0.4503 0.2259
0.2129 0.4900 0.1131
0.2181 0.6411 0.6072
0.3008 0.8183 0.9412
0.3137 0.8334 0.6609
0.3263 0.1853 0.4425
0.3287 0.1951 0.1595
0.3510 0.1717 0.8373
0.3601 0.1676 0.5586
0.3749 0.7784 0.0628
0.3794 0.8101 0.3393
0.4660 0.5089 0.3966
0.4805 0.3575 0.8889
0.4801 0.3692 0.1721
0.4805 0.5173 0.6691
0.4948 0.3043 0.7705
0.5072 0.5041 0.9930
0.5075 0.0329 0.3387
0.5119 0.5266 0.2778
0.5151 0.8146 0.8383
0.5183 0.8067 0.5569
0.5205 0.0347 0.0523
0.5212 0.2966 0.5017
0.5302 0.9664 0.6618
0.5348 0.8233 0.4446
0.5393 0.8156 0.1635
0.5706 0.9693 0.9393
0.6454 0.1645 0.2817
0.6445 0.5363 0.5007
0.6519 0.5413 0.7686
0.6676 0.1549 0.9931
0.6812 0.1539 0.6679
0.7050 0.1178 0.3939
0.7079 0.4950 0.1719
0.7079 0.4955 0.8861
'''
Metadata is information about information. In the case of WordPress, it’s information associated with posts, users, comments and terms. Given the many-to-one relationship of metadata in WordPress, your options are fairly limitless. You can have as many meta options as you wish, and you can store just about anything in there. This chapter will discuss managing…
Overview The REST API is very simple in many ways. There is input, known as the request. The input is interpreted by the server and output is created. The output, is known as the response. In some ways, you can think of a request to the WordPress REST API as a set of directions or…
WordPress 4.4 introduced the infrastructure for a REST API. The REST API provides an easy way to get data into and out of WordPress. Data can be retrieved and stored by sending HTTP requests to the REST API server. The REST API takes advantage of different HTTP methods. GET should be used for retrieving data from the…
Overview Responses in the API are what holds all of the data we want. If we made a mistake in our request, our response’s data should also inform us that an error occurred. Responses in the WordPress REST API should return the data we requested or an error message. Responses in the API are handled…
Add a Sub-Menu To add a new Sub-menu to WordPress Administration, use the add_submenu_page() function. Example Lets say we want to add a Sub-menu “WPOrg Options” to the “Tools” Top-level menu. The first step will be creating a function which will output the HTML. In this function we will perform the necessary security checks and…
WordPress stores the Post Types in the posts table allowing developers to register Custom Post Types along the ones that already exist. This chapter will show you how to register Custom Post Types, how to retrieve their content from the database, and how to render them to the public.
Plugins are packages of code that extend the core functionality of WordPress. WordPress plugins are made up of PHP code and can include other assets such as images, CSS, and JavaScript. By making your own plugin you are extending WordPress, i.e. building additional functionality on top of what WordPress already offers. For example, you could write a plugin…
Overview When writing endpoints it can be helpful to use a controller class to handle the functionality of an endpoint. Controller classes will provide a standard way to interact with the API and also a more maintainable way to interact with the API. WordPress’s current minimum PHP version is 5.2, if you are developing endpoints…
There are lot of ins and outs to hosting WordPress plugins. Please take a minute to see if your question is answered here before reaching out for assistance. The Plugin Review Team How do I contact the Plugin Review team? You can contact us by email at plugins@wordpress.org – we reply to all emails within…
The Debug Bar is a plugin that adds a debug menu to the admin bar that shows query, cache, and other helpful debugging information. Debug Bar This is the main plugin, adding the base functionality that is extended by the remaining plugins listed on this page. When WP_DEBUG is enabled it also tracks PHP Warnings…
Roles and capabilities are two important aspects of WordPress that allow you to control user privileges. WordPress stores the Roles and their Capabilities in the options table under the user_roles key. Roles A role defines a set of capabilities for a user. For example, what the user may see and do in his dashboard. By…
Overview The REST API provides us a way to match URIs to various resources in our WordPress install. By default, if you have pretty permalinks enabled, the WordPress REST API “lives” at /wp-json/. At our WordPress site https://ourawesomesite.com, we can access the REST API’s index by making a GET request to https://ourawesomesite.com/wp-json/. The index provides…
If your plugin allows users to submit data—be it on the Admin or the Public side—it should check for User Capabilities. User Roles and Capabilities The most important step in creating an efficient security layer is having a user permission system in place. WordPress provides this in the form of User Roles and Capabilities. Every…
If you are writing a plugin for WordPress, you will almost certainly find that you need to store some information in the WordPress database. There are two types of information you could store: This article describes how to have your plugin automatically create a MySQL/MariaDB table to store its data. Note that as an alternative…
People cease development on their plugins for a variety of reasons. Instead of letting those plugins stagnate, we encourage people to instead list them for adoption by another, more active, developer. In adopting a plugin, you are promising to be responsible for all future development, and to ensure the plugin (and you) comply with all…
WordPress comes with five default post types: post, page, attachment, revision, and menu. While developing your plugin, you may need to create your own specific content type: for example, products for an e-commerce website, assignments for an e-learning website, or movies for a review website. Using Custom Post Types, you can register your own post…
This information is here for historical purposes. If you’re not interested in how terms worked prior to 2015, you can skip this section. Prior to WordPress 4.2 Terms in different taxonomies with the same slug shared a single term ID. For instance, a tag and a category with the slug “news” had the same term…
Custom Post Type Templates You can create custom templates for your custom post types. In the same way posts and their archives can be displayed using single.php and archive.php, you can create the templates: single-{post_type}.php – for single posts of a custom post type archive-{post_type}.php – for the archive Where {post_type} is the post type…
Introduction to Taxonomies To understand what Taxonomies are and what they do please read the Taxonomy introduction. Custom Taxonomies As classification systems go, “Categories” and “Tags” aren’t very structured, so it may be beneficial for a developer to create their own. WordPress allows developers to create Custom Taxonomies. Custom Taxonomies are useful when one wants…
In order to make a string translatable in your application you have to wrap the original string in a call to one of a set of special functions. These functions collectively are known as “gettext.” Introduction to Gettext WordPress uses the gettext libraries and tools for i18n, but not directly: there are a set of…
Every person who pushes code for, or aids in support for, a plugin is required to have their OWN individual account. These accounts do not have to be personally identifying (that is, you can name them PluginNameSupport1 if you wanted), however all accounts must be used by a single human for your own protection. There…
You’ve written the next Hello Dolly and you want the world to use it. What should you do? 1. Test once and test again With any luck, your plugin will be used by lots of people in many different situations and hosting environments. You’ll want to make sure you’ve tested your plugin to make sure it…
In WordPress 4.9.6, new tools were added to make compliance easier with laws like the European Union’s General Data Protection Regulation, or GDPR for short. Among the tools added is a Personal Data Removal tool which supports erasing/anonymizing personal data for a given user. It does NOT delete registered user accounts – that is still…